**To do:**
What is needed: transcribe only the lines further down with the word "Crystal" in them.
**Entries:**
'''
Computed, not measured: a relaxed structure of Li6V3P8O29 at the GGA+U level of DFT.

Properties
Total energy = -7.017 eV/atom
Density = 2.6 g/cm3
Symmetry = P1
Crystal system = triclinic
Total moment = 3.000 μB per formula unit
ΔE_f = -2.659 eV/atom
Relative energy among the computed polymorphs = 4 meV/atom
Calculated volume = 1170.89 Å³ per cell

Cell: 9.818 9.821 14.004 Å, 89.77 89.75 60.13°
Element x y z (fractional)
1 Li 0.226 0.685 0.060
2 Li 0.093 0.667 0.561
3 Li 0.665 0.237 0.559
4 Li 0.329 0.338 0.888
5 Li 0.690 0.084 0.065
6 Li 0.091 0.227 0.062
7 Li 0.234 0.096 0.558
8 Li 0.317 0.907 0.942
9 Li 0.336 0.765 0.437
10 Li 0.897 0.337 0.438
11 Li 0.775 0.314 0.941
12 Li 0.961 0.986 0.489
13 V 0.573 0.995 0.254
14 V 0.439 0.001 0.748
15 V 0.997 0.568 0.753
16 V 0.999 0.436 0.250
17 V 0.433 0.568 0.249
18 V 0.565 0.435 0.748
19 P 0.229 0.679 0.842
20 P 0.087 0.686 0.345
21 P 0.684 0.228 0.341
22 P 0.337 0.331 0.129
23 P 0.330 0.336 0.628
24 P 0.680 0.091 0.846
25 P 0.778 0.918 0.661
26 P 0.092 0.228 0.841
27 P 0.916 0.770 0.161
28 P 0.228 0.087 0.341
29 P 0.320 0.914 0.158
30 P 0.665 0.665 0.372
31 P 0.665 0.665 0.870
32 P 0.316 0.772 0.658
33 P 0.915 0.315 0.656
34 P 0.769 0.322 0.158
35 O 0.227 0.772 0.570
36 O 0.256 0.662 0.335
37 O 0.012 0.761 0.076
38 O 0.084 0.661 0.841
39 O 0.374 0.512 0.824
40 O 0.330 0.486 0.166
41 O 0.531 0.384 0.332
42 O 0.755 0.245 0.069
43 O 0.666 0.255 0.840
44 O 0.186 0.489 0.670
45 O 0.088 0.531 0.334
46 O 0.486 0.327 0.668
47 O 0.334 0.333 0.021
48 O 0.330 0.336 0.522
49 O 0.489 0.185 0.166
50 O 0.116 0.371 0.825
51 O 0.188 0.327 0.167
52 O 0.658 0.086 0.336
53 O 0.794 0.992 0.760
54 O 0.790 0.013 0.580
55 O 0.743 0.011 0.939
56 O 0.512 0.116 0.823
57 O 0.323 0.189 0.669
58 O 0.749 0.914 0.161
59 O 0.379 0.092 0.330
60 O 0.081 0.255 0.338
61 O 0.993 0.797 0.257
62 O 0.018 0.773 0.437
63 O 0.003 0.226 0.568
64 O 0.917 0.749 0.660
65 O 0.619 0.922 0.667
66 O 0.255 0.078 0.842
67 O 0.678 0.804 0.327
68 O 0.478 0.906 0.177
69 O 0.242 0.003 0.068
70 O 0.220 0.001 0.430
71 O 0.207 0.001 0.248
72 O 0.338 0.917 0.658
73 O 0.815 0.658 0.824
74 O 0.907 0.618 0.179
75 O 0.519 0.817 0.827
76 O 0.663 0.662 0.976
77 O 0.657 0.661 0.478
78 O 0.509 0.679 0.329
79 O 0.914 0.471 0.669
80 O 0.810 0.509 0.332
81 O 0.338 0.749 0.157
82 O 0.212 0.790 0.752
83 O 0.251 0.751 0.930
84 O 0.473 0.618 0.669
85 O 0.663 0.516 0.828
86 O 0.621 0.481 0.177
87 O 0.918 0.336 0.158
88 O 0.000 0.244 0.930
89 O 0.002 0.210 0.750
90 O 0.749 0.335 0.658
91 O 0.779 0.217 0.429
92 O 0.792 0.209 0.248


Computed, not measured: a relaxed structure of MnBiAsO5 at the GGA+U level of DFT.

Properties
Total energy = -6.542 eV/atom
Density = 6.0 g/cm3
Total moment = 0.000 μB per formula unit
ΔE_f = -1.873 eV/atom
Calculated volume = 466.39 Å³ per cell

Cell: 7.011 7.875 9.403 Å, 77.77 93.34 68.39°
Element x y z (fractional)
1 Mn 0.370 0.847 0.520
2 Mn 0.630 0.153 0.480
3 Mn 0.870 0.347 0.020
4 Mn 0.130 0.653 0.980
5 Bi 0.105 0.424 0.332
6 Bi 0.605 0.924 0.832
7 Bi 0.895 0.576 0.668
8 Bi 0.395 0.076 0.168
9 As 0.467 0.414 0.764
10 As 0.967 0.914 0.264
11 As 0.533 0.586 0.236
12 As 0.033 0.086 0.736
13 O 0.164 0.383 0.118
14 O 0.664 0.883 0.618
15 O 0.836 0.617 0.882
16 O 0.336 0.117 0.382
17 O 0.035 0.257 0.826
18 O 0.535 0.757 0.326
19 O 0.965 0.743 0.174
20 O 0.465 0.243 0.674
21 O 0.217 0.557 0.780
22 O 0.717 0.057 0.280
23 O 0.783 0.443 0.220
24 O 0.283 0.943 0.720
25 O 0.396 0.697 0.064
26 O 0.896 0.197 0.564
27 O 0.604 0.303 0.936
28 O 0.104 0.803 0.436
29 O 0.564 0.562 0.656
30 O 0.064 0.062 0.156
31 O 0.436 0.438 0.344
32 O 0.936 0.938 0.844


Computed, not measured: a relaxed structure of KErW2O8 at the GGA+U level of DFT.

Properties
Total energy = -7.421 eV/atom
Density = 7.1 g/cm3
Symmetry = C2/c
Crystal system = monoclinic
Total moment = 0.000 μB per formula unit
ΔE_f = -2.687 eV/atom
Calculated volume = 326.97 Å³ per cell

Cell: 7.602 7.602 7.451 Å, 62.09 62.09 87.91°
Element x y z (fractional)
1 K 0.208 0.792 0.750
'''
**Here it is:**
Crystal system = triclinic
Crystal system = monoclinic